Wanted:
Type out the part of the contents further below that starts with the line with "8.807" and stops after the one with "14.675".

Source:
=====
! Na6V2PC4O16 (PBE+U, optimized geometry); values from VASP
&SYSTEM
  ibrav = 0, nat = 58, ntyp = 5
/
ATOMIC_SPECIES
O 16.00 O.upf
V 50.94 V.upf
P 30.97 P.upf
Na 22.99 Na.upf
C 12.01 C.upf
CELL_PARAMETERS angstrom
4.913 -0.159 8.670
-3.457 -5.460 7.588
4.849 -8.235 2.830
ATOMIC_POSITIONS angstrom
O 2.957 -1.824 8.807
V -0.941 -4.462 6.180
O 0.075 -7.259 12.223
O 4.792 -3.734 11.513
O 5.567 -11.613 13.819
O 3.556 -7.814 10.766
O 2.051 -4.557 13.992
P 3.153 -6.927 9.544
O 3.706 -9.177 4.933
O 2.315 -5.706 10.041
O 4.176 -10.711 8.363
Na 0.433 -6.324 8.739
O 6.360 -5.345 11.536
O 5.818 -2.536 9.056
Na 4.031 -9.853 17.079
C 5.280 -4.821 12.029
C 5.734 -12.599 17.358
Na 2.428 -9.712 9.903
O -1.760 -5.349 9.517
C 2.642 -7.349 15.554
O 4.674 -5.396 13.022
O 5.521 -9.322 7.217
C 2.148 -4.719 6.502
C 5.239 -9.970 8.306
Na 5.453 -7.606 13.956
O 4.979 -6.513 4.736
Na 7.449 -10.995 15.121
O 0.515 -9.351 11.526
O 6.007 -9.855 9.346
O 8.211 -7.945 9.498
Na 3.877 -4.142 9.184
O 5.583 -9.545 15.314
O 3.128 -3.913 6.774
Na 5.873 -7.531 10.349
O 7.367 -7.968 12.334
O 4.325 -9.504 13.094
O 3.440 -10.902 15.037
O -1.208 -6.448 6.826
Na 5.427 -10.929 11.553
O 4.441 -6.416 8.823
P 4.729 -10.391 14.316
O 0.981 -4.527 7.038
O -0.738 -7.983 10.256
Na 3.851 -7.466 6.781
Na 4.004 -13.176 14.675
Na 2.009 -9.787 13.511
C 2.601 -12.498 11.830
V 3.245 -1.811 6.721
O 0.628 -11.427 9.476
C 7.938 -9.118 12.521
V 0.788 -1.732 2.386
C -0.057 -8.200 11.339
V 3.213 -5.849 3.801
O 2.298 -7.773 8.546
O 1.874 -7.463 14.514
O 3.207 -11.922 10.837
Na 2.454 -6.389 12.307
O 2.340 -5.732 5.713
! E_form: -211.7 kJ per mole of atoms
! Magnetization: 5.0 μB per formula unit
! Crystal system: cubic
! E: -393.65 eV for the cell shown
=====

Result:
O 2.957 -1.824 8.807
V -0.941 -4.462 6.180
O 0.075 -7.259 12.223
O 4.792 -3.734 11.513
O 5.567 -11.613 13.819
O 3.556 -7.814 10.766
O 2.051 -4.557 13.992
P 3.153 -6.927 9.544
O 3.706 -9.177 4.933
O 2.315 -5.706 10.041
O 4.176 -10.711 8.363
Na 0.433 -6.324 8.739
O 6.360 -5.345 11.536
O 5.818 -2.536 9.056
Na 4.031 -9.853 17.079
C 5.280 -4.821 12.029
C 5.734 -12.599 17.358
Na 2.428 -9.712 9.903
O -1.760 -5.349 9.517
C 2.642 -7.349 15.554
O 4.674 -5.396 13.022
O 5.521 -9.322 7.217
C 2.148 -4.719 6.502
C 5.239 -9.970 8.306
Na 5.453 -7.606 13.956
O 4.979 -6.513 4.736
Na 7.449 -10.995 15.121
O 0.515 -9.351 11.526
O 6.007 -9.855 9.346
O 8.211 -7.945 9.498
Na 3.877 -4.142 9.184
O 5.583 -9.545 15.314
O 3.128 -3.913 6.774
Na 5.873 -7.531 10.349
O 7.367 -7.968 12.334
O 4.325 -9.504 13.094
O 3.440 -10.902 15.037
O -1.208 -6.448 6.826
Na 5.427 -10.929 11.553
O 4.441 -6.416 8.823
P 4.729 -10.391 14.316
O 0.981 -4.527 7.038
O -0.738 -7.983 10.256
Na 3.851 -7.466 6.781
Na 4.004 -13.176 14.675